WHEREAS the relationship between America and Ireland predates the founding of the United States; and
WHEREAS Ireland was one of the earliest supporters of American independence, causing General Washington to write after the revolution “Ireland, thou friend of my country in my country’s most friendless days, much injured, much enduring land, accept this poor tribute from one who esteems thy worth, and mourns thy desolation”; and
WHEREAS the United States has immeasurably benefitted by the contributions of millions of Irish Immigrants; and
WHEREAS more than ten percent of the United States population claims Irish Ancestry; and
WHEREAS the exchanging of Ambassadors is an internationally recognized practice of friendship and esteem; and
WHEREAS there has been no U.S. Ambassador to the Republic of Ireland since January of 2017; and
WHEREAS since January 2017, over sixty other ambassadors to other jurisdictions have been appointed and confirmed; and
**Unrelated to this text: data records**
- - -
Crystalline HAuC4N4O2 at its relaxed geometry. Source: the Materials Project database, functional PBE.

Structure (CIF):
```
data_HAuC4N4O2
_cell_length_a 6.4317
_cell_length_b 8.8840
_cell_length_c 7.3911
_cell_angle_alpha 90.00
_cell_angle_beta 91.86
_cell_angle_gamma 90.00
_space_group_name_H-M_alt 'P 1 21/c 1'
_space_group_IT_number 14
_space_group_name_Hall '-P 2ybc'
loop_
_atom_site_label
_atom_site_type_symbol
_atom_site_fract_x
_atom_site_fract_y
_atom_site_fract_z
_atom_site_occupancy
H1 H 0.0000 0.0000 0.0000 1
Au1 Au 0.5000 0.0000 0.5000 1
C1 C 0.2662 0.1482 0.4612 1
C2 C 0.3709 0.5781 0.2258 1
N1 N 0.1328 0.2353 0.4382 1
N2 N 0.3021 0.6335 0.3544 1
O1 O 0.1136 0.5861 0.5898 1
```

- size of the total moment (μB per formula unit) = 4.0

---

Crystalline Li7P3S11 at its relaxed geometry. Source: the Materials Project database, functional PBE.

Structure (CIF):
```
data_Li7P3S11
_cell_length_a 6.1888
_cell_length_b 12.6279
_cell_length_c 12.6731
_cell_angle_alpha 107.48
_cell_angle_beta 103.55
_cell_angle_gamma 101.86
_space_group_name_H-M_alt 'P -1'
_space_group_IT_number 2
_space_group_name_Hall '-P 1'
loop_
_atom_site_label
_atom_site_type_symbol
_atom_site_fract_x
_atom_site_fract_y
_atom_site_fract_z
_atom_site_occupancy
Li1 Li 0.0141 0.3190 0.3200 1
Li2 Li 0.1373 0.6173 0.8872 1
Li3 Li 0.2135 0.0356 0.7542 1
Li4 Li 0.2645 0.3317 0.8961 1
Li5 Li 0.3036 0.8213 0.2945 1
Li6 Li 0.3765 0.6568 0.4923 1
Li7 Li 0.4234 0.1353 0.1213 1
P1 P 0.1233 0.8329 0.0560 1
P2 P 0.1695 0.2115 0.5456 1
P3 P 0.4882 0.5245 0.7224 1
S1 S 0.0922 0.1836 0.6828 1
S2 S 0.1054 0.8368 0.6013 1
S3 S 0.1447 0.6829 0.0874 1
S4 S 0.1723 0.8233 0.8990 1
S5 S 0.2038 0.5021 0.2950 1
S6 S 0.2055 0.1543 0.9487 1
S7 S 0.2190 0.3957 0.5688 1
S8 S 0.3638 0.9712 0.1965 1
S9 S 0.4295 0.6686 0.6929 1
S10 S 0.4382 0.5184 0.8722 1
S11 S 0.4440 0.1598 0.5170 1
```

- size of the total moment (μB per formula unit) = 0.0

---

Crystalline Pr4FeS7 at its relaxed geometry. Source: the Materials Project database, functional PBE.

Structure (CIF):
```
data_Pr4FeS7
_cell_length_a 9.9291
_cell_length_b 6.9976
_cell_length_c 9.9496
_cell_angle_alpha 90.00
_cell_angle_beta 119.93
_cell_angle_gamma 90.00
_space_group_name_H-M_alt 'P 1 21 1'
_space_group_IT_number 4
_space_group_name_Hall 'P 2yb'
loop_
_atom_site_label
_atom_site_type_symbol
_atom_site_fract_x
_atom_site_fract_y
_atom_site_fract_z
_atom_site_occupancy
Pr1 Pr 0.1249 0.0000 0.2808 1
Pr2 Pr 0.1632 0.9555 0.8334 1
Pr3 Pr 0.2807 0.5008 0.6554 1
Pr4 Pr 0.3443 0.5008 0.1244 1
Fe1 Fe 0.4981 0.7936 0.5015 1
S1 S 0.0104 0.7410 0.5729 1
S2 S 0.0600 0.7381 0.9895 1
S3 S 0.1674 0.3398 0.8331 1
S4 S 0.2665 0.6118 0.3693 1
S5 S 0.3719 0.1107 0.5999 1
S6 S 0.3984 0.1115 0.2674 1
S7 S 0.4251 0.7432 0.9375 1
```

- size of the total moment (μB per formula unit) = 4.0

---

Crystalline ZrP at its relaxed geometry. Source: the Materials Project database, functional PBE.

Structure (CIF):
```
data_ZrP
_cell_length_a 3.7074
_cell_length_b 3.7074
- - -
WHEREAS the United Kingdom has decided to pursue Brexit, which has significant implications for the United States; and
WHEREAS the only land border between Britain and the European Union will be with the Republic of Ireland, and it is in the best interest of the United States to engage and work with one of its oldest partners as the map of Europe is transformed in a post-Brexit world; and
WHEREAS post-Brexit, the Republic of Ireland is the only predominantly English speaking state in the European Union and will be a natural base for American firms seeking to conduct business with the European Union making an official U.S. presence in Ireland essential; now be it therefore
RESOLVED that the Ancient Order of Hibernians call upon the President and Congress of the United States to appoint and confirm a qualified Ambassador to Ireland, acting with expedition in recognition of the special relationship between the United States and Ireland and the delay already incurred; that a copy of this Resolution, suitably engrossed, be transmitted to the President of the United States, the members of the Senate Foreign Relations Committee, and the Republic of Ireland’s Ambassador to the United States; and that the text of this resolution shall be shared appropriately with the news media and posted on the national website.
Adopted in Convention and signed and witnessed this Fourteenth Day of July in the Year of Our Lord Two Thousand and Eighteen, the two hundred and forty-second year since the founding of the American republic, and the one hundred and second since the Proclamation of the Irish republic.
![]() National President |
![]() National Secretary |